I'm not the sort to make a thread that specifically requests a developer response, but I don't see another easy way to address this question effectively.
On DDO, we're usually left to figure out the specific interactions of mechanics ourselves. Generally, I find this pretty engaging. It isn't too difficult, it follows some fairly consistent rules or patterns, and we're usually pretty accurate with determining stuff after some testing and time spent.
From time to time we've deviated from normal interactions in some way. Most of these have been easily tested or have been developer verified (Example: Dodge bonuses interacting like exceptional bonuses do, stacking with each other but not identical effects). Some interactions are completely abnormal but very easy to test and document and consistent (for example: healing amplification's multiplicative interaction with itself).
As a player I generally enjoy this stuff and its one of the things I enjoy on DDO to figure out how this stuff works.
In the last patch, the threat bonuses on Defender stances were finally fixed. I understand this bug was pretty difficult to deal with (and probably moreso because the concept had to be retuned). Part of the delay in it's reporting, however, also came from us: It was extremely hard to test and verify that the stances weren't working properly, and it took me a couple months after they were released to verify that.
We've been given some information on threat mechanics (eg that these enhancements are now typed, stack with each other when typed differently and with treasure effects). However, we don't know how that stacking works, and, for a variety of reasons, it is extraordinarily difficult, in fact, practically impossible, for us to test this effectively and break it down. Here is a non-exhaustive list of reasons.
1: There's enough random variance in damage dealing to require many tests and very high hp mobs for people to test their threat interactions with each other.
2: RE: above, we're also hamstrung but not knowing some basic mechanics of DDO threat (does it decay over time, for example)
3: We don't know what kind of stacking to expect from treasure effects, which is what we need to test most: Is it additive or multiplicative? Does it use only the highest source (typical), or does each non-identical benefit stack (if I have treasure effects for +15% threat and add a +20% threat effect, do I gain 5% threat (nonstacking), 20% threat(additive stacking), or 23% threat? (multiplicative stacking))
**Crystal structures, kept here for reference**
<<<
[1]
DFT (r²SCAN) results for a relaxed structure of VReO4.

The structure belongs to space group P2_1/m (No. 11); the cell edges are 5.6395, 6.5836 and 7.3078 Å and the angles 90.00°, 112.67° and 90.00°. The asymmetric unit holds V at (0.1196, 0.2500, 0.2379), V at (0.3664, 0.7500, 0.7326), Re at (0.1541, 0.2500, 0.7513), Re at (0.4012, 0.7500, 0.2484), O at (0.0300, 0.7500, 0.0579), O at (0.1309, 0.5476, 0.7485), O at (0.2208, 0.7500, 0.4397), O at (0.2630, 0.2500, 0.5234), O at (0.3847, 0.0451, 0.2508) and O at (0.4891, 0.2500, 0.9775).

The energy relative to the elements comes out at -2.11 eV per atom. For the total energy, the calculation gives -17.17 eV/atom. The offset from the most stable computed form is 1 meV per atom.

[2]
DFT (r²SCAN) results for a relaxed structure of Y3ReO8.

The structure belongs to space group P2_1/c (No. 14); the cell edges are 7.2056, 6.0080 and 14.3981 Å and the angles 90.00°, 111.32° and 90.00°. The asymmetric unit holds Y at (0.0946, 0.2413, 0.2020), Y at (0.1619, 0.1995, 0.4452), Y at (0.3930, 0.6884, 0.3333), Re at (0.3209, 0.7454, 0.0901), O at (0.0840, 0.6944, 0.9797), O at (0.1478, 0.0290, 0.8426), O at (0.1671, 0.6457, 0.1704), O at (0.1883, 0.5289, 0.8269), O at (0.2483, 0.0460, 0.0960), O at (0.3802, 0.0538, 0.5885), O at (0.4664, 0.2034, 0.7859) and O at (0.4774, 0.6967, 0.5193).

The energy relative to the elements comes out at -3.11 eV per atom. For the total energy, the calculation gives -16.54 eV/atom.

[3]
DFT (r²SCAN) results for a relaxed structure of Y2ReO5.

The structure belongs to space group P4/n (No. 85, origin choice 2); the cell edges are 8.4984, 8.4984 and 5.6294 Å and the angles 90.00°, 90.00° and 90.00°. The asymmetric unit holds Y at (0.1008, 0.8905, 0.2496), Re at (0.2500, 0.2500, 0.1474), Re at (0.2500, 0.2500, 0.5444), O at (0.0471, 0.3437, 0.6040), O at (0.0478, 0.1540, 0.0966), O at (0.2500, 0.7500, 0.0000) and O at (0.2500, 0.7500, 0.5000).

The energy relative to the elements comes out at -3.07 eV per atom. For the total energy, the calculation gives -18.43 eV/atom.

Q: What is the energy relative to the elements in the first record?
A: -2.11 eV per atom

~~~~~

## Li6V3P8O29 (GGA+U)

Data for a geometry-optimized Li6V3P8O29 structure.

Lattice parameters (Å, degrees): 9.790 9.800 13.958 90.11 90.12 119.94
Atoms (fractional coordinates):
1 Li 0.092 0.328 0.059
2 Li 0.100 0.765 0.562
3 Li 0.340 0.661 0.884
4 Li 0.232 0.910 0.060
5 Li 0.676 0.769 0.058
6 Li 0.338 0.102 0.444
7 Li 0.663 0.902 0.564
8 Li 0.903 0.238 0.441
9 Li 0.766 0.668 0.442
10 Li 0.898 0.664 0.939
11 Li 0.014 0.043 0.987
12 Li 0.043 0.053 0.515
13 V 0.435 0.001 0.248
14 V 0.565 0.004 0.756
15 V 0.434 0.434 0.747
16 V 0.561 0.563 0.250
17 V 0.001 0.432 0.250
18 V 0.998 0.561 0.747
19 P 0.092 0.313 0.842
20 P 0.224 0.306 0.344
21 P 0.088 0.772 0.342
22 P 0.331 0.666 0.127
23 P 0.339 0.672 0.631
24 P 0.220 0.905 0.844
25 P 0.309 0.084 0.660
26 P 0.686 0.777 0.843
27 P 0.306 0.224 0.155
28 P 0.685 0.914 0.344
>>>
4: Items with threat bonuses are pretty rare and in many cases are exceptionally hard to acquire (epic sets, tower of despair sets, dragontouched sovereign rune 3 piece set effects, etc). This makes finding 2 characters who have the same treasure effects to test with each other difficult, much less ensuring those characters deal close to the same damage before the threat effects!
For this reason, I feel that the underlying mechanics and interaction of threat are outside what we, as players, will be able to realistically deduce like we have with other mechanics. This limits our ability to give feedback on their effectivenes and to report bugs in their behavior or interactions with each other, as we don't know how they're supposed to work.
-- begin --
(1)
Compound: LuGaRh2
Source: the Materials Project database
Functional: PBE
Structure: optimized geometry

Cell lengths 4.5082, 4.5082, 4.5082 Å; angles 60.00, 60.00, 60.00 degrees
Sites, in units of the cell vectors:
Rh 0.2500 0.2500 0.2500
Rh 0.7500 0.7500 0.7500
Lu 0.0000 0.0000 0.0000
Ga 0.5000 0.5000 0.5000

Output
Uncorrected energy ... -6.48 eV per atom

(2)
Compound: Lu3Ga8Rh3
Source: the Materials Project database
Functional: PBE
Structure: optimized geometry

Cell lengths 8.0871, 8.0871, 8.0871 Å; angles 149.96, 104.51, 83.32 degrees
Sites, in units of the cell vectors:
Lu 0.8252 0.8252 0.0000
Lu 0.1748 0.1748 0.0000
Lu 0.5000 0.5000 0.0000
Rh 0.0000 0.5000 0.5000
Rh 0.7940 0.0000 0.7940
Rh 0.2060 0.0000 0.2060
Ga 0.7878 0.1605 0.6273
Ga 0.2122 0.8395 0.3727
Ga 0.3395 0.6270 0.7126
Ga 0.5332 0.1605 0.3727
Ga 0.4668 0.8395 0.6273
Ga 0.9144 0.6270 0.2874
Ga 0.6605 0.3730 0.2874
Ga 0.0856 0.3730 0.7126

Output
Uncorrected energy ... -4.95 eV per atom
Magnetization ... 0.00 μB per formula unit

(3)
Compound: Lu2GaRu
Source: the Materials Project database
Functional: PBE
Structure: optimized geometry

Cell lengths 4.8287, 4.8287, 4.8287 Å; angles 60.00, 60.00, 60.00 degrees
Sites, in units of the cell vectors:
Lu 0.7500 0.7500 0.7500
Lu 0.2500 0.2500 0.2500
Ru 0.0000 0.0000 0.0000
Ga 0.5000 0.5000 0.5000

Output
Uncorrected energy ... -5.86 eV per atom

Let's list energy relative to the elements in order: -0.914, -0.671, -0.526 eV/atom.

* * * * *

# 1
Entry from Materials Project: an optimized crystal structure of CuTeSeI (PBE).

a b c (Å): 4.8664 8.4639 13.1756
angles (deg): 64.06 90.00 90.00
Fractional coordinates of all 16 atoms:
Cu 0.8786 0.8033 0.2509
Cu 0.1214 0.1967 0.7491
Cu 0.3786 0.1967 0.2491
Cu 0.6214 0.8033 0.7509
Te 0.5086 0.7124 0.1487
Te 0.4914 0.2876 0.8513
Te 0.0086 0.2876 0.3513
Te 0.9914 0.7124 0.6487
Se 0.7195 0.4213 0.1599
Se 0.2805 0.5787 0.8401
Se 0.2195 0.5787 0.3401
Se 0.7805 0.4213 0.6599
I 0.6392 0.9028 0.3926
I 0.3608 0.0972 0.6074
I 0.1392 0.0972 0.1074
I 0.8608 0.9028 0.8926

## Properties
magnetic moment: 0.000 μB per formula unit
crystal system: monoclinic
formation energy from the elements: -0.2366 eV/atom


# 2
Entry from Materials Project: an optimized crystal structure of Na2BiBPO7 (PBE).

a b c (Å): 7.0596 5.4775 9.4992
angles (deg): 87.48 90.00 90.00
Fractional coordinates of all 24 atoms:
Na 0.0016 0.2403 0.7854
Na 0.4984 0.2403 0.7854
Na 0.5016 0.7597 0.2146
Na 0.9984 0.7597 0.2146
Bi 0.7500 0.7866 0.6309
Bi 0.2500 0.2134 0.3691
B 0.7500 0.7378 0.9154
B 0.2500 0.2622 0.0846
P 0.2500 0.7260 0.5931
P 0.7500 0.2740 0.4069
O 0.2500 0.2962 0.9414
O 0.7500 0.9593 0.8411
O 0.7500 0.5294 0.8370
O 0.0750 0.8462 0.6613
O 0.4250 0.8462 0.6613
O 0.7500 0.2040 0.5714
O 0.2500 0.4451 0.6100
O 0.7500 0.5549 0.3900
O 0.2500 0.7960 0.4286
O 0.5750 0.1538 0.3387
O 0.9250 0.1538 0.3387
O 0.2500 0.4706 0.1630
O 0.2500 0.0407 0.1589
O 0.7500 0.7038 0.0586

## Properties
magnetic moment: 1.003 μB per formula unit
-- stop --
For this reason, I think it would really benefit the community to get some specific answers regarding threat mechanics and interactions, like we recieved regarding dodge bonuses. With this information we can give constructive feedback and report bugs regarding our character's behaviors and performance. This information would also allow us to give better feedback on monster AI, as there are some monsters who behave in very wonky fashions regarding aggro, especially teleporters (a mob who teleports to his aggro target but cannot see it will drop aggro and pick another target seemingly at random, for example if he teleports and lands facing away from the person he teleported to attack, he'll run after the first person he sees: if he's facing the original person, they'll retain all the aggro they had: this seems buggy, but it's next to impossible to test with our knowledge of threat and aggro).
I'll end this post with a list of questions I think would enable us to do this.
DFT (PBE+U) results for a relaxed structure of VO2F.

Final energy (eV/cell): -27.0
ΔE_f (kJ/mol of atoms): -232
Piezoelectric modulus e_max (C/m²): 1.72

Cell: 5.615 5.615 4.241 Å, 70.50 70.50 32.99°
Sites, in units of the cell vectors:
O (0.586, 0.586, 0.011)
O (0.012, 0.012, 0.588)
V (0.013, 0.013, 0.969)
F (0.843, 0.843, 0.214)

DFT (PBE+U) results for a relaxed structure of MgFe6O6F6.

Final energy (eV/cell): -113.5
ΔE_f (kJ/mol of atoms): -205
Polymorph energy (0 for the lowest one) (eV per atom): 0.020

Cell: 5.211 15.534 3.059 Å, 90.59 93.37 95.59°
Sites, in units of the cell vectors:
F (0.799, 0.718, 0.524)
F (0.821, 0.372, 0.467)
F (0.676, 0.873, 0.061)
F (0.275, 0.136, 0.054)
F (0.624, 0.572, 0.032)
F (0.875, 0.041, 0.485)
Fe (0.418, 0.826, 0.557)
Fe (0.567, 0.243, 0.372)
Fe (0.000, 0.668, 0.029)
Fe (0.374, 0.522, 0.529)
Fe (0.064, 0.337, 0.992)
Fe (0.024, 0.959, 0.025)
O (0.273, 0.448, 0.018)
O (0.238, 0.285, 0.514)
O (0.280, 0.757, 0.044)
O (0.225, 0.920, 0.551)
O (0.820, 0.221, 0.941)
O (0.122, 0.601, 0.533)
Mg (0.040, 0.158, 0.522)

DFT (PBE+U) results for a relaxed structure of Na2MnO3.

Final energy (eV/cell): -137.3
ΔE_f (kJ/mol of atoms): -183
Polymorph energy (0 for the lowest one) (eV per atom): 0.009

Cell: 10.146 9.679 5.467 Å, 78.76 69.33 31.91°
Sites, in units of the cell vectors:
Mn (0.165, 0.165, 0.335)
Mn (0.335, 0.335, 0.165)
Mn (0.085, 0.085, 0.915)
Mn (0.915, 0.915, 0.085)
Na (0.829, 0.829, 0.671)
Na (0.671, 0.671, 0.829)
Na (0.579, 0.579, 0.421)
Na (0.256, 0.256, 0.744)
Na (0.994, 0.994, 0.506)
Na (0.421, 0.421, 0.579)
Na (0.744, 0.744, 0.256)
Na (0.506, 0.506, 0.994)
O (0.592, 0.096, 0.359)
O (0.154, 0.658, 0.297)
O (0.891, 0.297, 0.658)
O (0.196, 0.804, 0.804)
O (0.054, 0.446, 0.446)
O (0.297, 0.891, 0.154)
O (0.804, 0.196, 0.196)
O (0.953, 0.359, 0.096)
O (0.096, 0.592, 0.953)
O (0.658, 0.154, 0.891)
O (0.359, 0.953, 0.592)
O (0.446, 0.054, 0.054)

DFT (PBE+U) results for a relaxed structure of Li9Co7O16.

Final energy (eV/cell): -176.3
ΔE_f (kJ/mol of atoms): -159
Polymorph energy (0 for the lowest one) (eV per atom): 0.110

Cell: 2.997 4.978 19.295 Å, 87.74 90.00 90.00°
Sites, in units of the cell vectors:
O (0.000, 0.053, 0.307)
O (0.500, 0.336, 0.053)
O (0.500, 0.812, 0.557)
O (0.500, 0.446, 0.693)
O (0.000, 0.224, 0.944)
O (0.500, 0.664, 0.947)
O (0.500, 0.946, 0.191)
O (0.000, 0.688, 0.443)
O (0.500, 0.188, 0.443)
O (0.000, 0.312, 0.557)
O (0.500, 0.554, 0.307)
O (0.000, 0.556, 0.808)
O (0.000, 0.776, 0.056)
O (0.000, 0.444, 0.192)
O (0.500, 0.054, 0.809)
O (0.000, 0.947, 0.693)
Co (0.000, 0.500, 0.000)
Co (0.500, 0.250, 0.250)
Co (0.000, 0.000, 0.500)
Co (0.500, 0.750, 0.750)
Co (0.000, 0.251, 0.751)
Co (0.000, 0.749, 0.249)
Co (0.500, 0.500, 0.500)
Li (0.000, 0.626, 0.625)
Li (0.500, 0.875, 0.375)
Li (0.000, 0.374, 0.375)
Li (0.500, 0.125, 0.625)
Li (0.000, 0.119, 0.122)
Li (0.500, 0.375, 0.878)
Li (0.500, 0.000, 0.000)
Li (0.000, 0.881, 0.878)
Li (0.500, 0.625, 0.122)
1: How do treasure threat effects interact? Is it highest-source only (wearing 20% and 10% threat bonuses means 10% does nothing) or all unique effects (wearing 20% and 10% causes both to work, wearing two 20% bonuses gives you only one benefit)?
2: How do threat effects interact with each other? Are they multiplicative with each other or additive to each other? (additive seems like it would cause issues with threat -reductions-, since you might be able to stack them to 0% threat, and leads most people to assume they are multiplicative). Are they a combination of the two even? (spell damage being [total metamagic bonuses] * [total enhancement/buff/equipment bonuses] * [base damage], there is precedent for that kind of interaction on DDO).
3: Is threat permanent, based on damage dealt in the last 20-30 seconds, or does it decay in some fashion? Does aggro transfer when one person passes another at all, or when a certain threshold is passed (for example, WoW threat requires someone to reach 130% of the threat of the person who's currently got aggro before aggro will switch). the way mobs can bounce between aggro targets on DDO leads me to believe that there is no buffer zone, but you can't be sure.
Thanks in advance